File:
=====
(1)
ORCA calculation (ωB97M-V/def2-TZVPD) on a structure of composition C48H62N3ReSSbSi at a distorted geometry.

Geometry as XYZ:
```
117
C48H62N3ReSSbSi, DFT ωB97M-V/def2-TZVPD
Re 0.9726 1.1974 0.0566
C 0.3650 3.3170 -0.5941
C 0.1588 3.3334 0.8020
C -0.8508 2.3328 1.0856
C -1.1611 1.7128 -0.1516
C -0.4717 2.3755 -1.2233
C -0.7861 2.3230 -2.7246
C -2.2373 1.8625 -2.9033
C 0.1577 1.4112 -3.5180
C -0.6535 3.7449 -3.2881
C -1.6789 2.0236 2.3581
C -0.9519 1.1985 3.4306
C -2.1577 3.3427 2.9807
C -2.9320 1.2328 1.9615
C 0.8761 4.3844 1.6656
C 1.3017 3.8806 3.0440
C 2.1401 4.8860 0.9522
C -0.0729 5.6011 1.8151
H 0.9824 4.0120 -1.1379
H -1.9440 0.9915 -0.3004
H -2.3919 0.8365 -2.5695
H -2.4992 1.9026 -3.9619
H -2.9321 2.5091 -2.3618
H 0.2257 0.4130 -3.0863
H 1.1600 1.8441 -3.5812
H -0.2226 1.3059 -4.5360
H -1.2991 4.4552 -2.7665
H -0.9456 3.7399 -4.3389
H 0.3745 4.1107 -3.2411
H 0.0249 1.6039 3.6946
H -0.8197 0.1718 3.1026
H -1.5665 1.1828 4.3328
H -1.3700 3.8811 3.4969
H -2.9282 3.1113 3.7171
H -2.6021 4.0077 2.2369
H -2.6854 0.2429 1.5721
H -3.5405 1.7618 1.2250
H -3.5425 1.0843 2.8522
H 2.0942 3.1384 2.9676
H 0.4875 3.4457 3.6114
H 1.6907 4.7193 3.6243
H 2.7951 4.0629 0.6609
H 2.6963 5.5253 1.6382
H 1.9158 5.4872 0.0699
H -0.6942 5.5365 2.7038
H -0.7320 5.7184 0.9525
H 0.5242 6.5099 1.8949
C 1.9235 -1.2626 6.1113
Si 2.0990 -2.0743 4.4633
C 3.4323 -3.3439 4.4391
C 0.4945 -2.7665 3.8796
C 2.6944 -0.6596 3.3103
C 3.8296 0.0723 3.7089
C 4.3050 1.1670 2.9966
C 3.6104 1.5786 1.8776
N 2.5309 0.9012 1.4775
C 2.1130 -0.1866 2.1527
S 0.6995 -0.7487 1.2193
H 1.4091 -1.9297 6.8079
H 1.3389 -0.3421 6.0347
H 2.8897 -1.0155 6.5582
H 3.2423 -4.1137 5.1918
H 4.4160 -2.9171 4.6494
H 3.4763 -3.8357 3.4639
H 0.1841 -3.5398 4.5897
H 0.5645 -3.2384 2.8954
H -0.3021 -2.0186 3.8393
H 4.3632 -0.2259 4.6064
H 5.1922 1.7000 3.3083
H 3.9070 2.4329 1.2867
N 2.1544 -1.3337 -1.7593
C 2.8220 -0.2010 -2.0362
C 3.8113 -0.1946 -3.0479
C 4.4999 0.9412 -3.3294
C 4.2293 2.1171 -2.5969
C 3.2661 2.0658 -1.6488
N 2.5279 0.9326 -1.3670
H 2.4694 -2.1845 -2.1991
H 1.7107 -1.4576 -0.8598
H 4.0125 -1.1207 -3.5710
H 5.2635 0.9347 -4.0968
H 4.7617 3.0393 -2.7760
H 3.0085 2.9392 -1.0723
C -6.0214 -1.9885 -3.7360
C -5.8364 -2.2422 -2.3852
C -4.5551 -2.2483 -1.8444
C -3.4493 -2.0031 -2.6557
C -3.6451 -1.7497 -4.0141
C -4.9254 -1.7457 -4.5519
Sb -1.4633 -1.9461 -1.9436
C -1.5981 -3.2478 -0.2683
C -0.9124 -4.4626 -0.1901
C -1.0502 -5.2840 0.9267
C -1.8754 -4.9067 1.9770
C -2.5452 -3.6917 1.9256
C -2.3959 -2.8684 0.8172
C -0.7033 -3.2954 -3.3777
C 0.3082 -2.8989 -4.2558
C 0.7630 -3.7577 -5.2528
C 0.2099 -5.0226 -5.3803
C -0.8114 -5.4229 -4.5256
C -1.2720 -4.5630 -3.5386
H -7.0192 -1.9855 -4.1552
H -6.6900 -2.4456 -1.7517
H -4.4303 -2.4673 -0.7917
H -2.7970 -1.5720 -4.6688
H -5.0684 -1.5601 -5.6088
H -0.2840 -4.7905 -1.0098
H -0.5281 -6.2316 0.9659
H -1.9969 -5.5568 2.8343
H -3.1887 -3.3923 2.7442
H -2.9277 -1.9217 0.7975
H 0.7254 -1.9007 -4.1860
H 1.5361 -3.4353 -5.9395
H 0.5615 -5.6920 -6.1548
H -1.2544 -6.4041 -4.6365
H -2.0834 -4.8822 -2.8937
```

The energy comes out at -82621.249 eV. Its LUMO energy (spin up / spin down) is -7.41 / -7.37 eV. The energy above the lowest of the compared OMol25 structures with the same formula, charge and spin is 2.68 kJ/mol. As for the spin multiplicity: 2. For the orbital gap (spin up / spin down), the calculation gives 4.95 / 5.01 eV. As for the net charge: +2.
=====

Assignment:
Next, count the lines above that contain the word "ORCA" and give the number alone.

Result:
1